Activity:
Your job: count the lines below that contain the word "computed" and give the number alone.

Listing:
The following is a GGA+U calculation of crystalline KCdNiF6 at its relaxed geometry, from the Alexandria database.

## Properties
E_tot (eV per cell): -69.75
Theoretical density (g cm⁻³): 3.590
Space group: P-31c

Cell lengths 5.661, 5.661, 10.804 Å; angles 90.00, 90.00, 120.00 degrees
Sites, in units of the cell vectors:
F (0.044, 0.649, 0.851)
F (0.351, 0.396, 0.851)
Ni (0.333, 0.667, 0.750)
F (0.396, 0.044, 0.149)
Ni (0.667, 0.333, 0.250)
F (0.956, 0.604, 0.351)
F (0.396, 0.351, 0.351)
K (0.000, 0.000, 0.000)
F (0.604, 0.649, 0.649)
K (0.000, 0.000, 0.500)
Cd (0.667, 0.333, 0.750)
F (0.649, 0.044, 0.351)
F (0.649, 0.604, 0.149)
F (0.956, 0.351, 0.149)
F (0.044, 0.396, 0.649)
Cd (0.333, 0.667, 0.250)
F (0.351, 0.956, 0.649)
F (0.604, 0.956, 0.851)

* * * * *

Record 1
YSc2Al PBEsol optimized geometry; final energy = -6.262 eV/atom
1.0
3.4905 0.0000 0.0000
0.0000 5.0556 0.0000
-1.7453 -2.5278 5.2755
Y Sc Al
1 2 1
Direct
0.0000 0.5000 0.0000
0.7801 0.7801 0.5603
0.2199 0.2199 0.4397
0.5000 0.0000 0.0000

---

Record 2
YSc2Al PBEsol optimized geometry; final energy = -6.227 eV/atom
1.0
3.3023 0.0000 0.0000
0.0000 3.3023 0.0000
0.0000 0.0000 8.5130
Y Sc Al
1 2 1
Direct
0.0000 0.0000 0.5247
0.0000 0.0000 0.9754
0.5000 0.5000 0.2347
0.5000 0.5000 0.7652

---

Record 3
YSc2Al PBEsol optimized geometry; final energy = -6.254 eV/atom
1.0
-2.3176 -1.6692 -3.4447
1.4258 -4.1136 1.0340
-3.5812 -0.5666 2.6841
Y Sc Al
1 2 1
Direct
0.5000 0.5000 0.5000
0.0000 0.5000 0.0000
0.5000 0.0000 0.0000
0.0000 0.0000 0.5000

---

Record 4
YSc2Al PBEsol optimized geometry; final energy = -6.217 eV/atom
1.0
-3.1558 3.0720 0.4877
-2.3859 -2.8366 2.4281
4.8392 1.4024 2.3504
Y Sc Al
1 2 1
Direct
0.5000 0.5000 0.0000
0.0000 0.0000 0.0000
0.7500 0.2500 0.5000
0.2500 0.7500 0.5000

---

Record 5
ScAlZn PBEsol optimized geometry; final energy = -4.550 eV/atom
1.0
-2.4245 1.9775 0.5167
-0.6214 -1.7842 3.9126
2.6755 3.3951 -0.4393
Sc Zn Al
1 1 1
Direct
0.5000 0.6667 0.3333
0.0000 0.3333 0.6667
0.0000 0.0000 0.0000

---

Record 6
Sc2Al2Zn PBEsol optimized geometry; final energy = -4.985 eV/atom
1.0
4.3673 0.0000 0.0000
0.0000 6.5327 0.0000
0.0000 0.0000 6.5327
Sc Zn Al
4 2 4
Direct
0.5000 0.1667 0.6667
0.5000 0.6667 0.8333
0.5000 0.8333 0.3333
0.5000 0.3333 0.1667
0.0000 0.0000 0.0000
0.0000 0.5000 0.5000
0.0000 0.3613 0.8613
0.0000 0.8613 0.6387
0.0000 0.6387 0.1387
0.0000 0.1387 0.3613

---

Record 7
Sc2AlZn PBEsol optimized geometry; distance to the lowest polymorph of the same formula = 0.101 eV/atom; final energy = -5.057 eV/atom
1.0
3.2755 0.0000 0.0000
0.0000 4.6712 0.0000
-1.6377 -2.3356 4.8804
Sc Zn Al
2 1 1
Direct
0.9942 0.9942 0.9884
0.7664 0.2664 0.5328
0.5183 0.5183 0.0365
0.2211 0.7211 0.4423

---

Record 8
Sc2AlZn PBEsol optimized geometry; distance to the lowest polymorph of the same formula = 0.000 eV/atom; final energy = -5.159 eV/atom
1.0
3.2897 0.0000 0.0000
0.0000 3.2897 0.0000
0.0000 0.0000 6.7835
Sc Zn Al
2 1 1
Direct
0.0000 0.0000 0.7583
0.0000 0.0000 0.2417
0.5000 0.5000 0.0000
0.5000 0.5000 0.5000

---

In the order shown, the computed calculated formation energy values come out to -0.231 -0.196 -0.223 -0.186 -0.457 -0.390 -0.336 -0.438 eV/atom.

* * * * *

No. 1
# CaDyAu | Alexandria | PBE | optimized geometry
data_CaDyAu
_cell_length_a 7.085
_cell_length_b 7.085
_cell_length_c 7.085
_cell_angle_alpha 90.00
_cell_angle_beta 90.00
_cell_angle_gamma 90.00
_symmetry_space_group_name_H-M 'F -4 3 m'
_symmetry_Int_Tables_number 216
_symmetry_space_group_name_Hall 'F -4 2 3'
loop_
_atom_site_label
_atom_site_fract_x
_atom_site_fract_y
_atom_site_fract_z
Ca1 0.000 0.000 0.000
Dy1 0.000 0.000 0.500
Au1 0.250 0.250 0.750
# Energy relative to the elements (eV/atom): -0.452

No. 2
# Ca2Dy2Au3 | Alexandria | PBE | optimized geometry
data_Ca2Dy2Au3
_cell_length_a 5.0838
_cell_length_b 5.0838
_cell_length_c 25.0299
_cell_angle_alpha 90.00
_cell_angle_beta 90.00
_cell_angle_gamma 120.00
_symmetry_space_group_name_H-M 'R -3 m'

Here it is:
1